### Listing
=====
(1)
Density functional theory data (PBE-GGA) for InSnPS2O12 after structural relaxation.

a b c (Å): 8.814 8.825 23.027
angles (deg): 89.83 90.00 119.96
Fractional coordinates of all 102 atoms:
O 0.838 0.292 0.527
O 0.355 0.488 0.076
O 0.484 0.358 0.137
O 0.134 0.653 0.076
O 0.178 0.194 0.408
O 0.184 0.978 0.910
O 0.779 0.961 0.697
O 0.454 0.292 0.027
O 0.198 0.026 0.590
O 0.848 0.551 0.030
O 0.843 0.536 0.744
O 0.636 0.503 0.923
O 0.310 0.853 0.970
O 0.374 0.885 0.864
O 0.823 0.797 0.305
O 0.505 0.358 0.426
O 0.512 0.633 0.863
O 0.853 0.358 0.926
O 0.216 0.028 0.302
O 0.039 0.220 0.197
O 0.794 0.978 0.410
O 0.133 0.488 0.576
O 0.218 0.189 0.802
O 0.547 0.697 0.968
O 0.703 0.551 0.530
O 0.970 0.802 0.090
O 0.678 0.144 0.743
O 0.304 0.454 0.471
O 0.450 0.154 0.531
O 0.641 0.121 0.136
O 0.831 0.802 0.590
O 0.181 0.220 0.697
O 0.313 0.472 0.757
O 0.542 0.853 0.470
O 0.171 0.701 0.756
O 0.974 0.797 0.805
O 0.160 0.472 0.257
O 0.971 0.189 0.302
O 0.357 0.870 0.575
O 0.038 0.831 0.694
O 0.867 0.503 0.423
O 0.635 0.518 0.635
O 0.638 0.135 0.423
O 0.149 0.454 0.971
O 0.150 0.697 0.468
O 0.121 0.633 0.363
O 0.303 0.831 0.259
O 0.115 0.490 0.862
O 0.182 0.961 0.197
O 0.528 0.831 0.759
O 0.529 0.701 0.256
O 0.016 0.194 0.908
O 0.693 0.536 0.244
O 0.020 0.816 0.409
O 0.480 0.121 0.636
O 0.498 0.135 0.923
O 0.374 0.490 0.362
O 0.793 0.831 0.194
O 0.971 0.160 0.591
O 0.511 0.885 0.364
O 0.519 0.653 0.576
O 0.513 0.870 0.075
O 0.796 0.816 0.909
O 0.189 0.160 0.091
O 0.873 0.358 0.637
O 0.846 0.311 0.241
O 0.467 0.144 0.243
O 0.466 0.311 0.741
O 0.829 0.026 0.090
O 0.883 0.518 0.135
O 0.812 0.028 0.802
O 0.704 0.154 0.031
S 0.668 0.042 0.084
S 0.374 0.042 0.584
S 0.338 0.959 0.918
S 0.001 0.295 0.250
S 0.292 0.994 0.251
S 0.670 0.628 0.584
S 0.294 0.295 0.750
S 0.622 0.959 0.418
S 0.958 0.628 0.084
S 0.622 0.664 0.916
S 0.702 0.994 0.751
S 0.042 0.664 0.416
Sn 0.000 0.001 0.647
Sn 0.665 0.333 0.981
Sn 0.344 0.662 0.314
Sn 0.001 0.001 0.147
Sn 0.668 0.333 0.481
Sn 0.318 0.662 0.814
P 0.954 0.328 0.584
P 0.336 0.373 0.417
P 0.714 0.716 0.251
P 0.373 0.328 0.084
P 0.002 0.716 0.751
P 0.036 0.373 0.917
In 0.662 0.341 0.188
In 0.001 0.001 0.854
In 0.679 0.341 0.688
In 0.001 0.001 0.354
In 0.325 0.654 0.521
In 0.329 0.654 0.021

Computed properties:
* formation energy from the elements: -2060.6 meV per atom
* symmetry: Cc, No. 9
* crystal system: monoclinic

(2)
Density functional theory data (PBE-GGA) for TaInP2SO12 after structural relaxation.

a b c (Å): 8.853 8.889 22.762
angles (deg): 90.40 90.00 119.87
Fractional coordinates of all 102 atoms:
In 0.669 0.334 0.189
In 0.336 0.668 0.522
In 0.665 0.334 0.689
In 0.998 0.001 0.355
In 0.003 0.001 0.855
In 0.332 0.668 0.022
O 0.865 0.372 0.925
O 0.208 0.028 0.305
O 0.810 0.787 0.303
O 0.700 0.527 0.529
O 0.874 0.514 0.138
O 0.789 0.828 0.198
O 0.840 0.039 0.092
O 0.477 0.120 0.636
O 0.133 0.659 0.073
O 0.801 0.812 0.906
O 0.160 0.193 0.696
O 0.163 0.966 0.195
O 0.293 0.825 0.259
O 0.820 0.028 0.805
O 0.010 0.812 0.406
O 0.674 0.539 0.242
O 0.846 0.801 0.594
O 0.643 0.120 0.136
O 0.532 0.705 0.259
O 0.865 0.491 0.426
O 0.310 0.454 0.470
O 0.507 0.372 0.425
O 0.626 0.491 0.926
O 0.193 0.993 0.907
O 0.466 0.326 0.740
O 0.173 0.705 0.759
O 0.621 0.134 0.428
O 0.199 0.039 0.592
O 0.860 0.326 0.240
O 0.677 0.145 0.739
O 0.830 0.300 0.529
O 0.960 0.158 0.592
O 0.532 0.872 0.075
O 0.288 0.468 0.761
O 0.039 0.828 0.698
O 0.526 0.659 0.573
O 0.366 0.860 0.862
O 0.180 0.468 0.261
O 0.874 0.361 0.638
O 0.198 0.158 0.092
O 0.468 0.145 0.239
O 0.977 0.787 0.803
O 0.800 0.993 0.407
O 0.372 0.495 0.364
O 0.513 0.134 0.928
O 0.153 0.694 0.471
O 0.344 0.478 0.073
O 0.307 0.848 0.972
O 0.007 0.206 0.908
O 0.486 0.361 0.138
O 0.122 0.495 0.864
O 0.541 0.694 0.971
O 0.865 0.539 0.742
O 0.341 0.872 0.575
O 0.532 0.825 0.759
O 0.494 0.860 0.362
O 0.955 0.801 0.094
O 0.470 0.300 0.029
O 0.198 0.206 0.408
O 0.144 0.454 0.970
O 0.973 0.181 0.305
O 0.208 0.181 0.805
O 0.541 0.848 0.472
O 0.803 0.966 0.695
O 0.033 0.193 0.196
=====

### Request
Please work out how many lines earlier on have the word "formation" in them; a number is enough.

### Solution
1